E. G. Wrigglesworth* and
J. H. Johnston
School of Chemical and Physical Sciences, Victoria University of Wellington, PO Box 600, Wellington 6140, New Zealand. E-mail: emma.wrigglesworth@vuw.ac.nz
First published on 25th September 2017
We present novel syntheses of gold nanoparticle colloids using two reducing agents simultaneously as dual reductants. These colloids were characterised by absorption spectroscopy, hydrodynamic distribution data and transmission electron microscope images, and compared to those produced by single reducing agents. The use of tannic acid and sodium borohydride together has resulted in small spherical particles and a brown coloured colloid, and has demonstrated how the size of the reducing/stabilising agent can directly influence the size of the resulting nanoparticles. Further, the simultaneous use of tannic acid and ascorbic acid has given purple/blue and blue/grey shades resulting from quasi-spherical and anisotropic particles respectively. This illustrates how dual reductants can be utilised as a means to control particle shape.
-- Attached: molecular data --
- - -
1.
Molecular formula: C41H59ClCsN5PSbSe4
Method: DFT, the ωB97M-V functional and the def2-TZVPD basis

As for the energy relative to the best compared isomer or geometry (same formula, charge and spin): 7.27 kcal/mol. The value obtained for the HOMO energy is -1.255 eV. Its total charge is -2.

CARTESIAN COORDINATES (ANGSTROEM)
Cs (0.44464, 1.46900, 0.20144)
N (-2.77367, 2.42088, 0.90146)
C (-3.25871, 1.88866, 2.16869)
C (-3.06973, 0.38725, 2.27170)
N (-3.79180, -0.35909, 1.24573)
H (-1.81559, 2.13942, 0.71792)
H (-2.71707, 3.43490, 0.93207)
H (-4.32427, 2.14094, 2.25161)
H (-2.74935, 2.31367, 3.04321)
H (-3.33045, 0.08926, 3.29990)
H (-2.00115, 0.17807, 2.19576)
H (-4.78994, -0.33070, 1.42035)
H (-3.50819, -1.33169, 1.24233)
C (-0.67836, -3.04197, 2.12388)
C (0.44167, -2.97535, 3.11921)
C (0.28829, -3.56172, 4.36807)
C (1.29859, -3.51645, 5.31922)
C (2.49684, -2.89822, 5.00743)
C (2.66751, -2.31717, 3.75922)
C (1.65070, -2.32644, 2.81385)
P (1.74267, -1.51849, 1.16877)
C (3.37218, -0.65192, 1.21475)
C (3.44570, 0.33859, 2.19847)
C (4.57062, 1.12695, 2.37297)
C (5.66465, 0.91442, 1.54846)
C (5.59095, -0.03576, 0.54442)
C (4.45135, -0.81128, 0.33249)
C (4.42904, -1.69974, -0.88192)
C (1.82985, -2.95538, 0.09359)
C (2.58726, -4.06611, 0.45503)
C (2.73535, -5.17707, -0.35058)
C (2.06111, -5.15821, -1.59008)
C (1.28817, -4.10370, -1.97150)
C (1.10076, -2.92408, -1.15612)
C (0.27617, -1.91329, -1.60131)
H (-1.54061, -3.55301, 2.55368)
H (-0.37215, -3.56017, 1.21362)
H (-0.98483, -2.03834, 1.81737)
H (-0.65020, -4.05288, 4.59843)
H (1.14471, -3.96081, 6.29463)
H (3.30146, -2.86279, 5.73147)
H (3.60525, -1.82883, 3.52633)
H (2.59327, 0.49006, 2.85122)
H (4.56973, 1.92974, 3.10141)
H (6.55038, 1.52817, 1.65450)
H (6.42331, -0.14741, -0.14269)
H (5.22050, -1.38565, -1.56582)
H (3.47815, -1.64366, -1.41029)
H (4.57949, -2.75201, -0.63676)
H (3.09604, -4.04360, 1.41625)
H (3.33275, -6.02357, -0.04059)
H (2.14626, -6.00770, -2.26306)
H (0.77927, -4.13212, -2.92929)
H (0.06671, -1.02369, -1.01768)
H (-0.24615, -2.02666, -2.54256)
Se (3.81196, 4.62008, 3.95455)
Se (2.94003, 5.82470, 2.13219)
Se (2.23898, 4.37854, 0.35518)
Se (-0.02731, 4.77583, -0.14107)
C (-5.67074, 1.66386, -0.90186)
C (-5.06318, 1.64194, -2.29897)
C (-6.10546, 1.17789, -3.30709)
Sb (-3.11543, 0.66735, -2.24105)
C (-3.38861, -1.28871, -3.17510)
C (-3.32674, -2.35177, -2.08106)
C (-4.55190, -1.58808, -4.10932)
C (-2.26668, 1.68765, -3.97121)
C (-1.81832, 3.07891, -3.54364)
C (-3.10241, 1.76805, -5.23753)
H (-6.56009, 2.30392, -0.87486)
H (-4.95565, 2.00605, -0.15699)
H (-5.98661, 0.65840, -0.60917)
H (-4.76209, 2.66425, -2.55783)
H (-6.48649, 0.18761, -3.04769)
H (-5.73147, 1.12514, -4.32979)
H (-6.96365, 1.85969, -3.29637)
H (-2.45799, -1.34304, -3.75467)
H (-4.21391, -2.29838, -1.44364)
H (-2.44731, -2.24716, -1.44555)
H (-3.29585, -3.35546, -2.51681)
H (-5.49887, -1.61450, -3.56520)
H (-4.41981, -2.57877, -4.55857)
H (-4.66373, -0.86670, -4.92076)
H (-1.37456, 1.08409, -4.17931)
- - -
Gold nanoparticles are commonly synthesised by the chemical reduction method in which Au3+ ions are reduced by a suitable agent. Common reducing agents include trisodium citrate,11–13 tannic acid,14,15 sodium borohydride,16–18 ascorbic acid,19–21 and amine molecules.22,23 The addition of a stabilising agent such as polyvinylpyrrolidone (PVP) is often required.24,25
Here we present two novel nanogold syntheses in which two reducing agents are used simultaneously as dual reductants. To the best of our knowledge these syntheses have not been reported in the literature before now. We demonstrate that when tannic acid and sodium borohydride are used together, a brown coloured colloid results from small spherical particles. The use of tannic acid and ascorbic acid together gives purple/blue and blue/grey shades resulting from quasi-spherical and anisotropic particles respectively. No structure directing agents such as CTAB are used. These reproducible syntheses, each consisting of two simple steps, were carried out in aqueous media at room temperature. They provide advantages over other common methods utilised to obtain gold nanoparticles of these types.
Previously reported two reductant syntheses have utilised a block copolymer which is a very mild reducing agent and acts mostly as a stabilising agent to control particle size.26 The addition of trisodium citrate as a second reducing agent in this report has increased the concentration of spherical particles. Anisotropic particles were not formed. Our synthesis of brown nanoparticles has extended this approach by using the size of the stabilising/reducing agent to directly control the size of the nanoparticles. However our synthesis of blue and grey nanoparticles is completely distinct from this in that we utilise two highly effective reducing agents to significantly alter the mechanism of nanoparticle formation from when either reducing agent is used alone, resulting in different sized and shaped particles including anisotropic particles. To the best of our knowledge, we report for the first time the use of small molecule dual reductants with very similar reducing properties, added in very quick succession, to control nanoparticle shape and produce anisotropic particles. This is achieved without the use of a toxic growth directing agent such as CTAB, instead utilising the non-toxic, biodegradable and biocompatible chemicals tannic acid and ascorbic acid.
To act as a comparison, gold colloids made using only sodium borohydride (sample 1) and only tannic acid (sample 2) were also synthesised. HAuCl4 (20 μL, 3.36 wt% Au) was added to distilled water (30 mL) in a glass beaker, while stirring at room temperature. Sodium borohydride (sample 1, 1200 μL, 0.05 mol dm−3) or tannic acid (sample 2, 200 μL, 1 wt%) was added and the solution allowed to stir for a further 45 min.
For further comparison, a colloid made using sodium borohydride and polyvinylpyrrolidone (PVP) as the stabilising surfactant was synthesised (sample 3). HAuCl4 (20 μL, 3.36 wt% Au) was added to distilled water (30 mL) in a glass beaker, while stirring at room temperature. PVP (100 μL, 2 wt%) was added followed by sodium borohydride (1200 μL, 0.05 mol dm−3). The solution was allowed to stir for a further 45 min.
To act as a comparison, gold colloids made using only tannic acid (sample 4) and only ascorbic acid (sample 5) were also synthesised. HAuCl4 (10 μL, 3.36 wt% Au) was added to distilled water (10 mL) in a glass vial, while stirring at room temperature. Tannic acid (sample 4, 100 μL, 1 wt%) or ascorbic acid (sample 5, 50 μL, 5 wt%) was added and the solution allowed to stir for a further 45 min.
The use of these two reducing agents together gave a brown coloured colloid (sample A). The absorption spectrum of sample A has shown a strong absorption in the ultraviolet region that decays into the visible region, with superimposed LSPR bands at 430 and 490 nm (Fig. 1(a)). This is consistent with the colour observed and is indicative of the presence of very small gold nanoparticles.27 The two peaks suggest two dominating particle sizes but because they were not well defined there are likely a significant number of other nanoparticle sizes also present around these size ranges. The hydrodynamic diameter distribution data has shown two peaks centred at 2.6 nm and 7.0 nm and so supports the presence of two main particle sizes (Fig. 1(c)). Because larger particles absorb light of a lower energy,8 this suggests that ∼2.6 nm particles were responsible for the absorption band at 430 nm, and ∼7.0 nm particles for that at 490 nm, collectively resulting in the brown colour.
TEM analysis of sample A has revealed a large number of small, spherical nanoparticles as predicted from the absorption spectrum (Fig. 1(d) and (e)). The majority of the particles had diameters between 1 nm and 8 nm, however some larger particles were also observed (Fig. 1(f)). Although care was taken to ensure the TEM images obtained were representative of the entire sample, the size analysis did not confirm the two main sizes of nanoparticles that the absorption and hydrodynamic diameter data have suggested.
Tannic acid is an effective reducing agent and is capable of reducing Au3+ at room temperature and forming a high concentration of nanoparticles, however in this case it is its role as a stabilising agent that is of more importance. When tannic acid was replaced in the synthesis by PVP (sample 3), the brown colour of the resulting colloid was visually similar to that of sample A, as reflected by the fact that both colloids gave a band in the absorption spectra at 490 nm (Fig. 2). Because PVP cannot act as a reductant at room temperature but only as a stabiliser, the similarity between the colloids suggests that tannic acid played a mostly stabilising role in the formation of the sample A colloid. However the absorption spectrum for sample 3 did not possess the peak at 430 nm that the sample A colloid did and therefore the presence of the nanoparticles that have resulted in this peak (∼2.6 nm in diameter) must be due to the addition of tannic acid. It could be that these ∼2.6 nm nanoparticles have formed as a result of a favourable nanoparticle–tannic acid ratio. These nanoparticles are on the same size scale as the stabilising tannic acid molecules (∼2.5 nm from one side of a tannic acid molecule to the other). This suggests there might be a favourable number of tannic acid molecules per nanoparticle, and if it is beneficial to maximise nanoparticle coverage to maximise stabilisation then this would drive the formation of nanoparticles of a certain size. If a tannic acid molecule is approximated as a circle with an area of ∼4.9 nm2 then it would require four molecules to completely coat a nanoparticle with a diameter of 2.5 nm (surface area = 19.6 nm2). If this is the tannic acid to gold ratio that is most favoured then this would drive the formation of 2.5 nm diameter gold nanoparticles, explaining the presence of the peak at 2.6 nm in the hydrodynamic diameter distribution. Nanoparticles of this size fall into the range known to be most effective for catalysis (typically less than 5 nm).28–31 This concept of using the size of the tannic acid stabilising agent to directly control the size of the resulting particle is a novel approach and has significant potential in catalysis applications. Therefore further research into optimising this process would be beneficial for this field of research.
The absorbance intensity in the spectrum of sample 3 was much lower and the colloid much paler than for sample A, even though the gold concentration was identical and the sodium borohydride added in excess. It is likely that a large number of the nanoparticles in sample 3 were too small to undergo LSPR and so did not contribute to the colour and were not observed via absorption spectroscopy. The synthesis of sample A is therefore advantageous in applications where a strong brown colour is desirable, for example in certain design applications.
This dual reductant synthesis of nanogold has similarities with that given in the literature, in that one of the reducing agents plays a significant role in particle stabilisation.26 However where the second reductant simply increases the concentration of nanoparticles in the reported synthesis, the use of tannic acid and sodium borohydride together here has resulted in an overall decrease in the nanoparticle size. This control over size is an important advancement. Further, the choice of reducing agents in dual reductant syntheses can completely change the mechanism of nanoparticle formation, as shown below.
Tannic acid and ascorbic acid are both effective reducing agents, and are both able to reduce Au3+ at room temperature within comparable timeframes. Their use as dual reductants has resulted in particles with optical properties that differ from when tannic acid or ascorbic acid was used alone (Fig. 3(a)). Like in sample 2, the use of tannic acid alone in sample 4 gave a red coloured solution and an LSPR band at 528 nm. When ascorbic acid was used alone (sample 5), this produced a purple colloid with a slightly wider LSPR band at 553 nm. This colloid was analysed via TEM in this study and found to contain spherical and quasi-spherical particles with an average diameter of 40 ± 14 nm, consistent with the nanospheres 30–40 nm in diameter and red/purple colloids reported in the literature.19 Again, the reducing agent concentrations utilised have ensured complete reduction of the Au3+ ions.
The colloid changed significantly in colour to a purple/blue shade upon use of the two reducing agents together (sample B) (Fig. 3(b)). Tannic acid and ascorbic acid are both biodegradable, biocompatible and possess low toxicity. Therefore this synthesis of blue nanogold offers a significant advantage over the typical CTAB synthesis of nanorods utilised to obtain blue colours, as CTAB is known to be toxic.10 The peak in the absorption spectrum of sample B has red-shifted from those of samples 4 and 5 to 593 nm, which suggests a larger particle size or that some agglomeration/aggregation has occurred. Additionally the LSPR peak was much broader for sample B, consistent with the blue shade observed and indicating a greater particle size distribution or anisotropy. The TEM images of the purple/blue colloid (sample B) showed particles that were spherical or quasi-spherical in shape (Fig. 4(a)), similar in shape to those observed in TEM images of sample 5. In the absence of any observable anisotropy, the blue colour of sample B is attributed to the large range of nanoparticle sizes observed (Fig. 4(b)). A mechanism of nanoparticle growth has been developed for sample B. Although tannic acid can fully reduce Au3+, it is not quite as effective as ascorbic acid. Hence, when the tannic acid was added to the Au3+ solution initially it was not able to produce any significant quantity of nanoparticles in the short time before ascorbic acid was added (30 seconds), as indicated by the lack of any colour development. Because ascorbic acid is the stronger reducing agent, the following addition of ascorbic acid to the tannic acid and Au3+ solution resulted in nanoparticles quickly beginning to form. These partially formed nanoparticles possess layers of Au+ on their surface, and Au+ is easier to reduce than Au3+ (E° values of +1.692 V and +1.498 V for Au+ and Au3+ respectively).32 Therefore tannic acid was able to act to grow the nanoparticles partially formed by ascorbic acid by capturing the early formed tannic acid nanoparticles on the surface as well as forming further nanoparticles in its own right. The large range of nanoparticle sizes observed by TEM can be attributed to this mechanism due partly to the slightly different rates of reaction between tannic acid and ascorbic acid, and that individual nanoparticles will have come into contact with different quantities of tannic acid molecules, at different stages in their growth, during this fast synthesis.
Fig. 4 (a) Typical TEM image of gold colloid sample B (dual reductants tannic acid and ascorbic acid), (b) histogram of nanoparticle diameters corresponding to image (a), calculated using ImageJ. |
Unlike for sample A, the optical properties of the colloid could be further altered by increasing the concentration of the second reducing agent tannic acid, as shown in Fig. 5. This has resulted from the fact that the tannic acid and ascorbic acid both have reducing roles in this synthesis. The colour change from purple/blue to a blue/grey shade is consistent with the absorption spectra obtained in which the LSPR peaks for samples C and D were very broad and further red-shifted compared to sample B (λmax = 620 nm and 643 nm for samples C and D respectively). This suggests that agglomeration or aggregation has occurred and/or that there were anisotropic particles present in these colloids. The absorption spectra of samples C and D have additionally shown a shoulder at ∼530 nm which is reminiscent of the transverse LSPR band commonly seen when nanorods are present. This peak was poorly separated from the main, longitudinal band (at 620 nm and 643 nm) suggesting the presence of polydisperse anisotropic particles or aggregates/agglomerates. TEM analysis of sample D has confirmed that significant anisotropy was present (Fig. 6). The structures observed by TEM may be split into two categories; (i) smaller branched structures with diameters in the range of 20–40 nm (Fig. 6(a)), and, (ii) larger particles that were overall essentially spherical but had an uneven surface of nanoscale protrusions (Fig. 6(b)). The larger spherical particles of category (ii) had an average ‘outer’ diameter (including protrusions) of 56 ± 4 nm as compared to an average ‘inner’ diameter (excluding protrusions) of 40 ± 2 nm (calculated in ImageJ). The nanoprotrusions on these particles have induced multiple LSPR modes that were similar to the longitudinal mode of gold nanorods, and have resulted in a broad red-shifted LSPR band and consequently a blue/grey coloured colloid. The poor resolution between the longitudinal and transverse peaks in the absorption spectra can be explained by a number of factors; (i) a large range of different nanoprotrusion aspect ratios, with a higher aspect ratio giving a red-shifted LSPR mode, (ii) a large range of outer-to-inner ratios for the spherical nanoparticles with nanoprotrusions, and, (iii) a large range of structure sizes, from the small branched structures to the larger spherical particles.
The different densities observed in the TEM images of the smaller branched structures suggest that they consisted of smaller nanoparticles that have grown together to form anisotropic clusters. This is consistent with the spherical particles observed for sample B; it is likely that such particles have grown together by the action of excess tannic acid reducing agent to form structures such as those observed in Fig. 6. Because the overall size of many of these formations are smaller than a number of the spherical particles observed for sample B, this suggests that the particles have grown together while they were still in the process of formation, i.e. before they had grown to their full size.
In this synthesis, if the time of the ascorbic acid addition was delayed until after the colour change resulting from tannic acid reduction was observed (starting at ∼60 seconds), then this changed the optical properties of the colloid. It resulted in a narrower, blue-shifted LSPR band and purple/pink colloids, resulting from a mixture of spherical particles made by tannic acid and spherical particles made by ascorbic acid (the greater the time delay, the greater the similarity to the optical properties of sample 4 tannic acid nanoparticles). This highlights that the tannic acid and the ascorbic acid need to be acting as reducing agents essentially simultaneously to achieve particle shape control and anisotropy. This is a novel demonstration of the use of two small molecule reducing agents of similar strength to control particle shape that we believe has not before been examined in the literature.
This journal is © The Royal Society of Chemistry 2017 |